It’s a rare day when I agree with Senator Eric Abetz, but his assessment of Paul Lennon’s motives in the debate surrounding compensation for victims of abuse in state care is spot-on: “[the Tasmanian Government] rushed out to the media with a fanfare saying these abuse victims were going to be compensated … because Paul Lennon wanted headlines.” [Eric Abetz, 9/3/05]
While Senator Abetz made the Federal Government’s position clear on a number
of occasions over this issue, the Tasmanian Government ignored him and repeatedly stated that it had legal advice to the contrary.
It seems the legal advice in question was a little bit wrong, as it inferred that the Tasmanian Government’s compensation payouts would not be seen as such when it came time to repay Medicare, something ALL other recipients of compensation payments are required to do.
Leading advocate for the victims, Steve Fisher, seemed to be across the legalities of this issue at the time, raising questions about the Tasmanian Government’s motives in steadfastly sticking to its legal guns for so long. I personally find it worrying that the Tasmanian Government’s legal advice on this issue came from the same person who advised them over Richard Butler’s payout, but that’s another matter.
Seeking a cheap headline
Anyway, Senator Abetz also made the strong point that the Federal Government would be obliged to pay victim’s medical expenses on behalf of companies such as James Hardie if they set a precendent by paying Tasmanian abuse victim’s medical expenses on behalf of the Tasmanian Government. Obviously this is a precedent to be avoided at all costs.
Paul Lennon is now desperately trying to focus attention on the prospective $10 billion budget surplus in Canberra, over and above his own complicity in using victims of child sex abuse in state care as pawns in his latest “nice guy” makeover attempt.
The good Senator called it “seeking a cheap headline,” and I cannot disagree. I hope the media, the people and especially the victims also see Paul Lennon’s behaviour for what it really is: shallow self service.
joel harvey
April 1, 2005 at 10:02
My name is Joel Harvey I am 26, I was abused in foster care in 92, I have since returned Tasmania in 2002 to complain to the ombudsman about the lack of infrastructure in government departments.
This action and the action of Wally Tussen, Steve Fisher (S.I.C.S.A) and others have lead to the ombudsman’s inquirry.
== Inserted here: calculated crystals ==
********
A geometry-optimized Nd4Y2Er5 structure, computed with PBE-GGA.

Values from the calculation:
energy of formation from the pure elements: 0.088 eV/atom
N(E_F): 19.53 states/eV per cell
space group: C2/m, No. 12
spin magnetization: 0.0 μB/f.u.

Cell: 8.7782 8.7782 9.1022 Å, 121.04 121.04 37.91°
Element x y z (fractional)
Nd  0.0968  0.0968  0.4525
Nd  0.3586  0.3586  0.7645
Nd  0.6414  0.6414  0.2355
Nd  0.9032  0.9032  0.5475
Y  0.4438  0.4438  0.2390
Y  0.5562  0.5562  0.7610
Er  0.0000  0.0000  0.0000
Er  0.1944  0.1944  0.8876
Er  0.2645  0.2645  0.3100
Er  0.7355  0.7355  0.6900
Er  0.8056  0.8056  0.1124

A geometry-optimized NdY2Er5 structure, computed with PBE-GGA.

Values from the calculation:
energy of formation from the pure elements: 0.005 eV/atom
N(E_F): 28.00 states/eV per cell
space group: P-1, No. 2
spin magnetization: 0.0 μB/f.u.

Cell: 6.2663 6.6951 12.2288 Å, 95.24 90.04 90.00°
Element x y z (fractional)
Nd  0.1681  0.0644  0.1906
Nd  0.8319  0.9356  0.8094
Y  0.1662  0.3129  0.9361
Y  0.3346  0.8084  0.9361
Y  0.6654  0.1916  0.0639
Y  0.8338  0.6871  0.0639
Er  0.1651  0.5594  0.6841
Er  0.1665  0.8133  0.4388
Er  0.3336  0.0619  0.6843
Er  0.3353  0.3151  0.4389
Er  0.3353  0.5640  0.1908
Er  0.6647  0.4360  0.8092
Er  0.6647  0.6849  0.5611
Er  0.6664  0.9381  0.3157
Er  0.8335  0.1867  0.5612
Er  0.8349  0.4406  0.3159

~~~~~

VASP calculation (PBE) on a geometry-optimized Pm2Ge3Pd6 structure.

Calculated values
Crystal system = hexagonal
Calculated volume = 19.05 Å³/atom
DFT formation energy = -786 kJ/mol of formula units

```
Pm2Ge3Pd6
1.0
-4.251 -0.466 0.944
1.524 -6.203 3.801
0.046 6.581 3.454
Ge Pm Pd
3 2 6
direct
0.500 0.000 0.626
0.500 0.626 0.000
0.500 0.374 0.374
0.000 0.333 0.667
0.000 0.667 0.333
0.500 0.295 0.000
0.000 0.787 0.000
0.000 0.000 0.787
0.500 0.705 0.705
0.500 0.000 0.295
0.000 0.213 0.213
```

***

VASP calculation (PBE) on a geometry-optimized Ac2PaTlSe6 structure.

Calculated values
Crystal system = trigonal
Formation energy without anion corrections = -1.521 eV per atom
Calculated volume = 35.44 Å³/atom

```
Ac2PaTlSe6
1.0
-2.547 -4.119 6.058
-5.536 -5.341 -0.993
2.066 -7.864 0.486
Se Pa Tl Ac
6 1 1 2
direct
0.225 0.961 0.242
0.391 0.700 0.761
0.147 0.391 0.761
0.700 0.147 0.761
0.961 0.572 0.242
0.572 0.225 0.242
0.325 0.325 0.024
0.805 0.805 0.586
0.009 0.009 0.973
0.526 0.526 0.422
```

***

VASP calculation (PBE) on a geometry-optimized SrAcAl3 structure.

Calculated values
Crystal system = orthorhombic
Calculated volume = 30.01 Å³/atom
DFT formation energy = -150 kJ/mol of formula units

```
SrAcAl3
1.0
-3.854 -0.554 2.315
-1.449 -3.154 -3.167
6.722 -8.732 9.103
Al Sr Ac
6 2 2
direct
0.250 0.384 0.768
0.750 0.523 0.047
0.750 0.616 0.232
0.250 0.477 0.953
0.750 0.335 0.670
0.250 0.665 0.330
0.750 0.204 0.407
0.250 0.796 0.593
0.250 0.069 0.139
0.750 0.931 0.861
```

***

VASP calculation (PBE) on a geometry-optimized YAl2Fe2Si structure.

Calculated values
Crystal system = tetragonal
********
There where 700 confirmed cases before the ombudsman before Easter. The latest information I have received is the there are a significant amount more then 700. This leads me to estimate around 1000 cases. I will have more accurate information in the coming days.
This has been downplayed by the Government to the media and the public.
The DHHS review team are UN aware the ombudsman has such a high number of cases to investigate.
So where is the $60,000,000 coming from????
If it is too big for the state government then where is the justification for the federal government not to investigate?
This downplaying has to stop.
Joel Harvey